File:
+++
No. 1
The following is a DFT calculation (ωB97M-V with the def2-TZVPD basis set) of a cluster of 2 separate species, C5H8N2S in total.

* LUMO (spin up / spin down): 0.76 / -2.07 eV
* net charge: 0
* largest force on an atom: 3.41 eV/Å
* HOMO level (spin up / spin down): -7.82 / -8.82 eV
* expectation value of S²: 2.034
* multiplicity: 3
* orbital gap (spin up / spin down): 8.59 / 6.74 eV
* ΔE to the lowest compared entry with this formula, charge and spin: 0.00 kcal per mole

Each line ends with the Löwdin charge.
Element x y z (Å)
C (3.3599, 1.1404, 0.0589)  -0.14
C (4.0915, 0.0423, -0.0859)  -0.35
C (1.9107, 0.8414, 0.1234)  -0.52
C (1.6099, -0.6147, 0.0720)  -0.24
C (-2.1188, -1.4143, 0.3477)  -0.21
N (0.9387, 1.6498, 0.1871)  0.12
N (-2.1829, -0.5545, -0.8200)  -0.08
S (3.0456, -1.4172, -0.1226)  0.92
H (3.7367, 2.1488, 0.1158)  0.11
H (5.1529, -0.0781, -0.1730)  0.07
H (-1.0975, -1.7754, 0.4485)  0.05
H (-2.4040, -0.9137, 1.2820)  0.06
H (-2.7868, -2.2635, 0.1940)  0.07
H (1.1805, 2.6379, 0.2043)  0.05
H (-1.4824, 0.1757, -0.7503)  0.03
H (-3.1023, -0.1322, -0.9064)  0.05

Forces on the atoms, in the same order (eV/Å):
-0.849 -0.342 0.013
-1.043 -1.046 0.038
-0.505 -1.262 0.028
1.964 2.788 -0.018
-0.213 0.108 0.067
-1.729 1.390 0.133
0.012 0.135 -0.282
1.555 -1.435 -0.194
-0.017 0.080 -0.007
0.220 -0.114 -0.020
0.014 -0.170 0.095
0.069 -0.111 0.049
0.122 -0.077 0.113
0.327 -0.112 -0.002
-0.202 0.110 -0.021
0.276 0.057 0.008



No. 2
The following is a DFT calculation (ωB97M-V with the def2-TZVPD basis set) of an isolated molecule of C5H8N2S.

* LUMO (spin up / spin down): 0.51 / -2.88 eV
* net charge: 0
* largest force on an atom: 4.81 eV/Å
* HOMO level (spin up / spin down): -4.67 / -9.76 eV
* expectation value of S²: 2.005
* multiplicity: 3
* orbital gap (spin up / spin down): 5.18 / 6.88 eV
* ΔE to the lowest compared entry with this formula, charge and spin: 41.21 kcal per mole

Each line ends with the Löwdin charge.
Element x y z (Å)
C (1.7711, 1.1816, 1.2429)  -0.27
C (0.1845, -1.2042, 0.1220)  -0.27
C (0.6823, -0.7840, -1.3205)  -0.44
C (0.5813, 1.1385, 0.4712)  -0.56
C (-1.7556, 0.2304, 0.2354)  -0.13
N (2.5459, 1.4265, 2.0820)  0.16
N (-0.3892, -0.0266, 0.7982)  -0.21
S (0.9729, 1.0368, -1.3495)  0.83
H (-0.6717, -1.9736, -0.0420)  0.13
H (1.0107, -1.6915, 0.6681)  0.11
H (1.7034, -1.3549, -1.6236)  0.12
H (-0.0606, -1.0097, -2.1754)  0.09
H (-0.0317, 2.1165, 0.6241)  0.15
H (-2.4842, -0.7010, 0.3697)  0.12
H (-2.2464, 1.1492, 0.7810)  0.11
H (-1.8126, 0.4658, -0.8836)  0.08

Forces on the atoms, in the same order (eV/Å):
0.844 0.748 2.983
-1.150 -1.311 -1.721
0.666 -2.129 0.190
-4.291 -0.633 2.071
-1.690 0.526 0.318
-0.573 -0.699 -1.780
0.568 0.671 -0.782
1.104 0.837 -3.862
1.552 1.140 0.615
-0.454 0.475 0.091
-2.250 1.596 0.603
1.130 0.508 1.341
1.333 -1.569 -0.388
1.844 1.916 0.055
1.005 -1.837 -0.947
0.363 -0.239 1.214



No. 3
The following is a DFT calculation (ωB97M-V with the def2-TZVPD basis set) of the ion C5H8N3 with charge +1.

* LUMO (spin up / spin down): -7.47 / -7.47 eV
* net charge: +1
* largest force on an atom: 4.53 eV/Å
* HOMO level (spin up / spin down): -15.14 / -15.14 eV
* orbital gap (spin up / spin down): 7.67 / 7.67 eV
* ΔE to the lowest compared entry with this formula, charge and spin: 133.03 kcal per mole

Each line ends with the Löwdin charge.
Element x y z (Å)
C (0.7649, -0.2397, -0.9399)  -0.40
C (0.2039, 0.3489, 1.3466)  -0.08
C (-2.2245, -0.4833, 0.7437)  0.07
C (-1.2687, 0.6110, 0.9340)  -0.15
C (1.7981, -0.3684, -1.9392)  0.01
N (1.0893, 0.0281, 0.2655)  0.19
N (-0.5673, -0.4647, -1.1473)  0.29
N (-1.4734, 0.0966, -0.3693)  0.05
H (0.7541, 1.1730, 1.7696)  0.15
H (0.2945, -0.4389, 1.9777)  0.10
H (-1.8844, -1.4911, 0.9505)  0.15
H (-3.1943, -0.2684, 0.8247)  0.09
H (-1.5944, 1.6382, 1.2245)  0.19
H (1.3870, 0.0853, -2.7793)  0.07
H (2.0505, -1.4004, -2.1896)  0.11
H (2.6849, 0.1755, -1.3992)  0.15

Forces on the atoms, in the same order (eV/Å):
0.044 1.773 2.145
+++
Activity:
Next, return only the lines further above with the word "this" in them.
Completed:
* ΔE to the lowest compared entry with this formula, charge and spin: 0.00 kcal per mole
* ΔE to the lowest compared entry with this formula, charge and spin: 41.21 kcal per mole
* ΔE to the lowest compared entry with this formula, charge and spin: 133.03 kcal per mole